2013年10月26日 星期六


ZFS 概觀

ZFS 是 Sun Microsystems 為 Solaris 作業系統 (Unix 的一支) 開發的檔案系統。
ZFS 具備 logical volume management 的能力 (稱為 Zpool)、也提供快照(snapshots)、copy-on-write 副本與自動修復的功能。

不同於傳統的檔案系統是建立在單一的磁碟分割之上,ZFS 是建立在虛擬的儲存池(pool)之上,稱為 Zpool。Zpool 可以是由多個 volume 所組成,之後檔案系統再透過 zpool 取得使用空間。ZFS的另一項特點就是 128 位元的設計,理論上可以 2 的 48 次方個檔案,每個檔案最大可以有 16EB,最大單一 volume 可達 16EB。

在資料安全與穩定性方面,ZFS 採用 copy- on-write 與 snapshots 計術來進一步維護檔案系統的正確性。所謂 copy-on-write 簡單的說就是每當檔案有變更時,不是直接覆蓋舊 有的資料,而是將使用中的區塊複製出來,而這些變更是在這複製的區塊上。Copy-on-Write 最大的好處就是當資料變更時,舊有的資料依然能夠維持,方便作為復原之用。Snapshot 就是保存著這些就有資料的映像副本的技術。ZFS 有著另一項先進的計術,就是透過刪除重複的資料 (Deduplication) 來節省儲存的空間。

ZFS的架構有三層。 一個或多個ZFS的檔案系統會存在一個ZFS pool,其中會包含一或多個裝置(通常是磁碟)。檔案系統在pool中會分享其資源,而且也不會受固定大小的限制。

裝置可以是還在跑的過程中,被加到一個pool之中,例如像增加  pool大小之時, 可以在pool 裡,不需讓檔案系統離線的情況下,產生新的檔案系統。

ZFS管理所有的儲存體:卷冊管理軟體 (如:SVM 或 Veritas) 不是必需的。

ZFS 只用兩個工具指令管理:
.zpool 管理ZFS pools 及其中的裝置。
.zfs 管理 ZFS 檔案系統。

Storage pools

不同於傳統檔案系統需要駐留於單獨裝置或者需要一個卷管理系統去使用一個以上的裝置,ZFS建立在虛擬的,被稱為「zpools」的儲存池之上 (儲存池最早在AdvFS實現[5],並且加到後來的Btrfs)。每個儲存池由若干虛擬裝置(virtual devices, vdevs)組成。這些虛擬裝置可以是原始磁碟,也可能是一個RAID1映像裝置,或是非標準RAID等級的多磁碟組。於是zpool上的檔案系統可以使用這些虛擬裝置的總儲存容量。

所有 ZFS 檔案系統在一個pool裡,所以第一步是產生一個 pool。
zpool 的指令是來管理 ZFS pools。

在產生新的pools前, 先確認是否已有pool,以避免在過程中搞混哪個是哪個。
確認 pool 是否存在,可用 zpool list

Hot spare

A hot spare or hot standby is used as a failover mechanism to provide reliability in system configurations. The hot spare is active and connected as part of a working system. When a key component fails, the hot spare is switched into operation. More generally, a hot standby can be used to refer to any device or system that is held in readiness to overcome an otherwise significant start-up delay.

 (以下照著 FreeBSD Handbook 來實作一次

ZFS Tuning

Some of the features provided by ZFS are RAM-intensive, so some tuning may be required to provide maximum efficiency on systems with limited RAM.


At least one gigabyte.
The amount of recommended RAM depends upon the size of the pool and the ZFS features which are used. A general rule of thumb is 1GB of RAM for every 1TB of storage. If the deduplication feature is used, a general rule of thumb is 5GB of RAM per TB of storage to be deduplicated. While some users successfully use ZFS with less RAM, it is possible that when the system is under heavy load, it may panic due to memory exhaustion. Further tuning may be required for systems with less than the recommended RAM requirements.

重複數據刪除英文Data deduplication)是一種節約數據存儲空間的技術。在計算機中存儲了很多重複數據,這些數據佔用了大量硬碟空間,利用重複數據刪除技術,可以只存儲一份數據。另外一項節約存儲空間的技術是數據壓縮,數據壓縮技術在比較小的範圍內以比較小的粒度查找重複數據,粒度一般為幾個比特到幾個位元組。而重複數據刪除是在比較大的範圍內查找大塊的重複數據,一般重複數據塊尺寸在1KB以上。[1] 重複數據刪除技術被廣泛應用於網路硬碟,電子郵件磁碟備份介質設備等。
(1) 節約硬碟空間: 由於不必存儲重複數據,因此大大節約的磁碟空間。
(2) 提升寫入性能: 數據寫入存儲設備的主要性能瓶頸在於硬碟,由於硬碟是機械設備,一般單塊硬碟只能提供 100MB/s 左右的連續寫性能。在線重複數據刪除在數據存入硬碟之前就把重複的數據刪除掉了,因此存入硬碟的數據量變小了,數據的寫入性能也就提高了
(3) 節約網路頻寬: 對於使用了源端重刪技術的應用來說,數據上傳到存儲設備之前,已經去掉了重複的數據塊,因此重複的數據塊不需要經過網路傳輸到存儲介質,從而節約了網路頻寬。例如:Dropbox就採用了源端重刪技術,因此佔用網路頻寬很小,還有開源的數據同步工具rsync也採用了源端重刪技術節約網路頻寬。

Crystal structures, kept here for reference.
~~~
The following is a computed PXRD pattern of CuPbSO6. It was derived from a DFT-relaxed cell (GGA-PBE, the Materials Project), using Cu Kα (weighted mean of Kα1 and Kα2).
No peak broadening, texture or thermal motion is included.

Largest 8 diffraction maxima, sorted by position, 2θ from 15° to 90°:
| d [Å] | Position (°2θ) | intensity | (hkl) |
| --- | --- | --- | --- |
| 5.202 | 17.0 | 43.7 | 0 1 1 |
| 4.297 | 20.7 | 100.0 | 1 0 -1 |
| 3.838 | 23.2 | 30.4 | 0 1 2 |
| 3.601 | 24.7 | 34.7 | 1 1 0 |
| 3.280 | 27.2 | 53.3 | 0 0 3 |
| 3.084 | 28.9 | 54.8 | 1 0 2 |
| 2.581 | 34.8 | 31.2 | 1 1 -3 |
| 1.926 | 47.2 | 28.5 | 1 2 3 |

Crystal structure
Cell lengths 4.4982, 6.1290, 9.9466 Å; angles 90.00, 98.40, 90.00 degrees
Fractional coordinates of all 18 atoms:
1 Cu 0.0000 0.0000 0.0000
2 Cu 0.0000 0.5000 0.0000
3 Pb 0.3517 0.2500 0.3513
4 Pb 0.6483 0.7500 0.6487
5 S 0.4826 0.2500 0.6879
6 S 0.5174 0.7500 0.3121
7 O 0.0797 0.7500 0.8928
8 O 0.2359 0.2500 0.0699
9 O 0.2900 0.0489 0.6725
10 O 0.2900 0.4511 0.6725
11 O 0.3143 0.7500 0.1825
12 O 0.3344 0.7500 0.4289
13 O 0.6656 0.2500 0.5711
14 O 0.6857 0.2500 0.8175
15 O 0.7100 0.5489 0.3275
16 O 0.7100 0.9511 0.3275
17 O 0.7641 0.7500 0.9301
18 O 0.9203 0.2500 0.1072

~~~~~

Diffraction record for CsNbSe3. The powder diffractogram is computed, not measured: it uses a cell relaxed with PBE and Cu Kα X-rays.
Intensities are scaled so that the largest is 100.

Top 6 peaks for 2θ from 10° to 90°, low angle first:
2theta	d/Å	I_rel
11.1	7.975	100
18.6	4.770	83
25.9	3.435	93
32.6	2.746	73
35.9	2.502	64
36.4	2.469	71

Structural model:
Lattice parameters (Å, degrees): 20.406 3.847 9.735 90.00 106.40 90.00
Space group C2/m (No. 12)
Unique sites:
Cs: 0.104 0.000 0.368 x4
Nb: 0.170 0.500 0.823 x4
Se: 0.079 0.000 0.735 x4
Se: 0.194 0.000 0.022 x4
Se: 0.221 0.500 0.632 x4
~~~
The crystal structures stop here.

Kernel Configuration

Due to the RAM limitations of the i386™ platform, users using ZFS on the i386™ architecture should add the following option to a custom kernel configuration file, rebuild the kernel, and reboot:
options KVA_PAGES=512

不過因為我這次的機器是 64 bit 所以不用加這行

Loader Tunables

The kmem address space can be increased on all FreeBSD architectures. On a test system with one gigabyte of physical memory, success was achieved with the following options added to /boot/loader.conf, and the system restarted:
vm.kmem_size="330M" vm.kmem_size_max="330M" vfs.zfs.arc_max="40M" vfs.zfs.vdev.cache.size="5M"
For a more detailed list of recommendations for ZFS-related tuning, see http://wiki.freebsd.org/ZFSTuningGuide.

Using ZFS

There is a start up mechanism that allows FreeBSD to mount ZFS pools during system initialization. To set it, issue the following commands:
# echo 'zfs_enable="YES"' >> /etc/rc.conf  
# service zfs start (or # /etc/rc.d/zfs start)

The examples in this section assume three SCSI disks with the device names da0, da1, and da2. Users of IDE hardware should instead use ad device names.

Single Disk Pool

To create a simple, non-redundant ZFS pool using a single disk device, use zpool:

# zpool create example /dev/da1

(新增了一個 5GB 的虛擬硬碟 da1,然後用他來建 zpool)
To view the new pool, review the output of df:
# df -h

This output shows that the teat pool has been created and mounted. It is now accessible as a file system. Files may be created on it and users can browse it, as seen in the following example:

# cd /teat
# ls 
# touch testfile 
# ls -al 

However, this pool is not taking advantage of any ZFS features.
To create a dataset on this pool with compression enabled:

# zfs create teat/compressed
# zfs set compression=gzip teat/compressed

The teat/compressed dataset is now a ZFS compressed file system.
Try copying some large files to /teat/compressed.

Compression can be disabled with:

# zfs set compression=off teat/compressed

-- Attached: data records --
-- begin --
(1)
Simulated X-ray powder pattern
Compound: Er8AlZn2
Radiation: CuKα
Structure: a DFT-relaxed cell (GGA-PBE, Alexandria)

Top 6 peaks for 10 to 80 degrees two-theta, by intensity:
two_theta	I (rel.)
34.13	100.0
36.83	27.8
32.82	22.2
26.06	19.1
37.55	17.7
64.61	15.7

Crystal structure
```
Er8AlZn2
1.0
-2.4407 4.1049 7.1860
2.4407 -4.1049 7.1860
2.4407 4.1049 -7.1860
Er Al Zn
8 1 2
direct
0.1180 0.3377 0.7804
0.1372 0.1372 0.0000
0.3122 0.0000 0.3122
0.4427 0.6623 0.7804
0.5573 0.3377 0.2196
0.6878 0.0000 0.6878
0.8628 0.8628 0.0000
0.8820 0.6623 0.2196
0.0000 0.5000 0.5000
0.3044 0.8044 0.5000
0.6956 0.1956 0.5000
```

(2)
Simulated X-ray powder pattern
Compound: Er11Al9Zn4
Radiation: CuKα
Structure: a DFT-relaxed cell (GGA-PBE, Alexandria)

Top 6 peaks for 10 to 80 degrees two-theta, by intensity:
two_theta	I (rel.)
35.83	100.0
25.39	43.7
36.21	34.6
24.85	28.4
38.17	17.6
34.02	17.1

Crystal structure
```
Er11Al9Zn4
1.0
7.0049 -10.5400 0.0000
7.0049 10.5400 0.0000
0.0000 0.0000 3.5826
Er Al Zn
11 9 4
direct
0.0000 0.0000 0.0000
0.0568 0.4084 0.0000
0.1618 0.8382 0.0000
0.2991 0.2991 0.0000
0.3670 0.6330 0.0000
0.4084 0.0568 0.0000
0.5916 0.9432 0.0000
0.6330 0.3670 0.0000
0.7009 0.7009 0.0000
0.8382 0.1618 0.0000
0.9432 0.5916 0.0000
0.0732 0.2157 0.5000
0.1630 0.6311 0.5000
0.2157 0.0732 0.5000
0.3689 0.8370 0.5000
0.5000 0.5000 0.5000
0.6311 0.1630 0.5000
0.7843 0.9268 0.5000
0.8370 0.3689 0.5000
0.9268 0.7843 0.5000
0.2457 0.4482 0.5000
0.4482 0.2457 0.5000
0.5518 0.7543 0.5000
0.7543 0.5518 0.5000
```

(3)
Simulated X-ray powder pattern
Compound: Er3AlZn3
Radiation: CuKα
Structure: a DFT-relaxed cell (GGA-PBE, Alexandria)

Top 6 peaks for 10 to 80 degrees two-theta, by intensity:
two_theta	I (rel.)
33.67	100.0
34.46	61.6
38.47	50.8
24.30	38.3
54.14	33.9
40.43	31.3

Crystal structure
```
Er3AlZn3
1.0
3.5334 0.0000 0.0000
0.0000 4.4626 0.0000
0.0000 0.0000 19.2374
Er Al Zn
6 2 6
direct
0.0000 0.0000 0.0000
0.0000 0.0000 0.3898
0.0000 0.5000 0.1911
0.5000 0.0000 0.6911
0.5000 0.5000 0.5000
0.5000 0.5000 0.8898
0.0000 0.5000 0.7596
0.5000 0.0000 0.2596
0.0000 0.0000 0.5535
0.0000 0.0000 0.8331
0.0000 0.5000 0.6262
0.5000 0.0000 0.1262
0.5000 0.5000 0.0535
0.5000 0.5000 0.3331
```

(4)
Simulated X-ray powder pattern
Compound: Eu3Al
Radiation: CuKα
Structure: a DFT-relaxed cell (GGA-PBE, Alexandria)

Top 6 peaks for 10 to 80 degrees two-theta, by intensity:
two_theta	I (rel.)
31.22	100.0
27.59	32.6
56.09	29.6
31.62	27.5
23.39	18.2
30.26	18.1

Crystal structure
```
Eu3Al
1.0
4.0176 0.0000 0.0000
0.0000 5.6599 0.0000
0.0000 0.0000 11.8138
Eu Al
6 2
direct
0.0000 0.0000 0.0000
0.0000 0.5000 0.2145
0.0000 0.5000 0.7855
0.5000 0.0000 0.2855
0.5000 0.0000 0.7145
0.5000 0.5000 0.5000
0.0000 0.0000 0.5000
0.5000 0.5000 0.0000
```

(5)
Simulated X-ray powder pattern
Compound: EuAl8Fe4
Radiation: CuKα
Structure: a DFT-relaxed cell (GGA-PBE, Alexandria)

Top 6 peaks for 10 to 80 degrees two-theta, by intensity:
two_theta	I (rel.)
41.21	100.0
28.83	70.4
-- stop --

To unmount a file system, issue the following command and then verify by using df:

# zfs umount teat/compressed  
# df 

umount 的時候如果  teat 裏面有檔案就會出現:
cannot unmount '/teat/compressed': Device busy
這時候只要把檔案都移除掉就可以順利 umount 了

To re-mount the file system to make it accessible again, and verify with df:

# zfs mount example/compressed  
# df 

The pool and file system may also be observed by viewing the output from mount:
# mount 
ZFS datasets, after creation, may be used like any file systems. 
However, many other features are available which can be set on a per-dataset basis. In the following example, a new file system, data is created. Important files will be stored here, the file system is set to keep two copies of each data block:
# zfs create teat/data 
# zfs set copies=2 teat/data

It is now possible to see the data and space utilization by issuing df:

# df -h
Notice that each file system on the pool has the same amount of available space. This is the reason for using df in these examples, to show that the file systems use only the amount of space they need and all draw from the same pool. The ZFS file system does away with concepts such as volumes and partitions, and allows for several file systems to occupy the same pool.

To destroy the file systems and then destroy the pool as they are no longer needed:

# zfs destroy teat/compressed 
# zfs destroy teat/data  
# zpool destroy teat


RAID-Z is not actually a kind of RAID, but a higher-level software technology that implements an integrated redundancy scheme in the ZFS file system similar to RAID 5. RAID-Z is a data-protection technology featured by ZFS in order to reduce the block overhead in mirroring.
RAID-Z avoids the RAID 5 "write hole" using copy-on-write; rather than overwriting data, it writes to a new location and then atomically overwrites the pointer to the old data. It avoids the need for read-modify-write operations for small writes by only ever performing full-stripe writes. Small blocks are mirrored instead of parity protected, which is possible because the file system is aware of the underlying storage structure and can allocate extra space if necessary. RAID-Z2 doubles the parity structure to achieve results similar to RAID 6: the ability to sustain up to two drive failures without losing data. In July 2009, triple-parity RAID-Z3 was added to provide increased redundancy due to the extended resilver times of multi-terabyte disks.
There is no way to prevent a disk from failing. One method of avoiding data loss due to a failed hard disk is to implement RAID. ZFS supports this feature in its pool design.

To create a RAID-Z pool, issue the following command and specify the disks to add to the pool:

# zpool create storage raidz da2 da3 da4

我加了三個虛擬的 1GB 硬碟(da2 da3 da4)

This command creates the storage zpool. This may be verified using mount(8) and df(1). This command makes a new file system in the pool called home:

# zfs create storage/home

It is now possible to enable compression and keep extra copies of directories and files using the following commands:

# zfs set copies=2 storage/home 
# zfs set compression=gzip storage/home

To make this the new home directory for users, copy the user data to this directory, and create the appropriate symbolic links:

# cp -rp /home/* /storage/home 
# rm -rf /home /usr/home 
# ln -s /storage/home /home  
# ln -s /storage/home /usr/home

## These calculated crystals were left in the piece by mistake
<<<
# 1
Starting from a GGA-PBE-relaxed structure, the X-ray powder pattern of Pm4As6Pd5 was computed for Cu Kα (λ = 1.5418 Å).

Atomic structure:
Cell: 4.262 19.170 15.310 Å, 90.00 90.00 90.00°
Space group Cmc2_1 (No. 36)
Unique sites:
Pm 0.000 0.017 0.000 (multiplicity 4)
Pm 0.000 0.036 0.259 (multiplicity 4)
Pm 0.000 0.167 0.796 (multiplicity 4)
Pm 0.000 0.183 0.442 (multiplicity 4)
As 0.000 0.112 0.614 (multiplicity 4)
As 0.000 0.219 0.985 (multiplicity 4)
As 0.000 0.232 0.255 (multiplicity 4)
As 0.000 0.420 0.624 (multiplicity 4)
As 0.000 0.428 0.901 (multiplicity 4)
As 0.000 0.442 0.345 (multiplicity 4)
Pd 0.000 0.154 0.125 (multiplicity 4)
Pd 0.000 0.306 0.115 (multiplicity 4)
Pd 0.000 0.342 0.775 (multiplicity 4)
Pd 0.000 0.356 0.468 (multiplicity 4)
Pd 0.000 0.451 0.161 (multiplicity 4)

The 10 most intense peaks (2θ from 5° to 70°), by angle:
2theta  intensity  hkl
27.66  43  1 1 3
31.38  23  1 5 0
31.77  41  1 1 4
31.94  41  1 5 1
33.55  23  1 5 2
34.48  30  1 3 4
35.17  32  0 0 6
36.09  100  1 5 3
42.41  73  2 0 0
45.98  23  1 7 4

# 2
Starting from a GGA-PBE-relaxed structure, the X-ray powder pattern of MnRh2Cl was computed for Cu Kα (λ = 1.5418 Å).

Atomic structure:
Cell: 3.001 3.001 6.704 Å, 90.00 90.00 90.00°
Space group P4/mmm (No. 123)
Unique sites:
Mn 0.000 0.000 0.000 (multiplicity 1)
Rh 0.500 0.500 0.212 (multiplicity 2)
Cl 0.000 0.000 0.500 (multiplicity 1)

The 10 most intense peaks (2θ from 5° to 70°), by angle:
2theta  intensity  hkl
13.21  24  0 0 1
26.59  8  0 0 2
29.77  20  1 0 0
40.34  100  1 0 2
42.60  48  1 1 0
44.79  5  1 1 1
50.94  22  1 0 3
54.77  5  0 0 4
60.13  5  1 1 3
61.83  15  2 0 0

# 3
Starting from a GGA-PBE-relaxed structure, the X-ray powder pattern of Sm2Y6Ho3Tm was computed for Cu Kα (λ = 1.5418 Å).

Atomic structure:
Cell: 6.171 10.677 11.805 Å, 90.00 99.98 90.00°
Space group C2/m (No. 12)
Unique sites:
Sm 0.000 0.167 0.000 (multiplicity 4)
Y 0.249 0.500 0.748 (multiplicity 4)
Y 0.250 0.166 0.749 (multiplicity 8)
Ho 0.000 0.000 0.500 (multiplicity 2)
Ho 0.000 0.334 0.500 (multiplicity 4)
Tm 0.000 0.500 0.000 (multiplicity 2)

The 10 most intense peaks (2θ from 5° to 70°), by angle:
2theta  intensity  hkl
15.24  9  0 0 2
29.41  6  2 0 0
30.76  100  1 3 1
35.66  50  2 0 2
38.99  3  1 3 3
51.32  35  1 3 5
53.85  2  3 3 1
60.99  14  4 0 0
61.05  28  0 6 4
64.06  12  2 6 2

# 4
Starting from a GGA-PBE-relaxed structure, the X-ray powder pattern of Mg3Mn was computed for Cu Kα (λ = 1.5418 Å).

Atomic structure:
Cell: 3.073 9.852 5.298 Å, 90.00 90.00 90.00°
Space group Imm2 (No. 44)
Unique sites:
Mg 0.000 0.000 0.000 (multiplicity 2)
Mg 0.000 0.241 0.347 (multiplicity 4)
Mn 0.000 0.500 0.008 (multiplicity 2)

The 10 most intense peaks (2θ from 5° to 70°), by angle:
2theta  intensity  hkl
18.01  12  0 2 0
19.02  24  0 1 1
33.72  25  1 0 1
33.84  15  0 0 2
36.48  37  0 4 0
38.48  100  1 2 1
38.59  46  0 2 2
50.55  24  0 4 2
60.46  16  1 0 3
67.01  24  1 6 1

# 5
>>>

Users should now have their data stored on the freshly created /storage/home.

Test by adding a new user and logging in as that user.
Try creating a snapshot which may be rolled back later:

# zfs snapshot storage/home@13-10-26

Note that the snapshot option will only capture a real file system, not a home directory or a file. The @ character is a delimiter used between the file system name or the volume name. When a user's home directory gets trashed, restore it with:

# zfs rollback storage/home@13-10-26

To get a list of all available snapshots, run ls in the file system's .zfs/snapshot directory. For example, to see the previously taken snapshot:

# ls /storage/home/.zfs/snapshot

It is possible to write a script to perform regular snapshots on user data. However, over time, snapshots may consume a great deal of disk space. The previous snapshot may be removed using the following command:

# zfs destroy storage/home@13-10-26

After testing, /storage/home can be made the real /home using this command:

# zfs set mountpoint=/home storage/home

不知道為什麼一直噴 device busy....
Run df and mount to confirm that the system now treats the file system as the real /home:

# mount 
This completes the RAID-Z configuration. To get status updates about the file systems created during the nightly periodic(8) runs, issue the following command

# echo 'daily_status_zfs_enable="YES"' >> /etc/periodic.conf


Recovering RAID-Z

Every software RAID has a method of monitoring its state. The status of RAID-Z devices may be viewed with the following command:

# zpool status -x

If all pools are healthy and everything is normal, the following message will be returned:

This indicates that the device was previously taken offline by the administrator using the following command:

# zpool offline storage da1

It is now possible to replace da1 after the system has been powered down. When the system is back online, the following command may issued to replace the disk:

# zpool replace storage da1

From here, the status may be checked again, this time without the -x flag to get state information:

# zpool status storage 
As shown from this example, everything appears to be normal.



